== Brief ==
Please type out everything further below unchanged.

== Given ==
........
(1)
For Pu2CuGe4Rh3, DFT lattice parameters and positions (GGA-PBE) gives the calculated X-ray powder pattern in this record (CuKα).

Principal peaks in the range 2θ from 10° to 90°, by intensity:
| 2θ/deg | I/Imax | h k l |
| --- | --- | --- |
| 34.8 | 100 | 1 1 2 |
| 34.1 | 80 | 1 0 3 |
| 42.4 | 59 | 2 0 0 |
| 55.5 | 41 | 2 1 3 |
| 50.4 | 30 | 1 0 5 |
| 29.6 | 29 | 1 1 0 |
| 67.9 | 25 | 2 1 5 |
| 72.7 | 24 | 3 1 2 |

Structure:
```
data_Pu2CuGe4Rh3
_chemical_formula_sum 'Pu2 Cu1 Ge4 Rh3'
_cell_length_a 4.262
_cell_length_b 4.262
_cell_length_c 10.002
_cell_angle_alpha 90.00
_cell_angle_beta 90.00
_cell_angle_gamma 90.00
_symmetry_space_group_name_H-M 'P -4 m 2'
_symmetry_Int_Tables_number 115
loop_
_symmetry_equiv_pos_as_xyz
'x,y,z'
'y,-x,-z'
'-x,-y,z'
'-y,x,-z'
'-x,y,z'
'-y,-x,-z'
'x,-y,z'
'y,x,-z'
loop_
_atom_site_label
_atom_site_type_symbol
_atom_site_fract_x
_atom_site_fract_y
_atom_site_fract_z
Pu1 Pu 0.000 0.500 0.250
Cu1 Cu 0.000 0.000 0.500
Ge1 Ge 0.000 0.000 0.000
Ge2 Ge 0.000 0.500 0.629
Ge3 Ge 0.500 0.500 0.000
Rh1 Rh 0.000 0.500 0.872
Rh2 Rh 0.500 0.500 0.500
```

(2)
For TmPu2Cu2Ge2, DFT lattice parameters and positions (GGA-PBE) gives the calculated X-ray powder pattern in this record (CuKα).

Principal peaks in the range 2θ from 10° to 90°, by intensity:
| 2θ/deg | I/Imax | h k l |
| --- | --- | --- |
| 35.1 | 100 | 1 0 7 |
| 45.1 | 70 | 1 1 0 |
| 10.1 | 48 | 0 0 3 |
| 25.8 | 35 | 1 0 1 |
| 58.4 | 23 | 0 2 7 |
| 37.6 | 22 | 0 1 8 |
| 76.7 | 21 | 2 1 7 |
| 62.6 | 18 | 1 1 12 |

Structure:
```
data_TmPu2Cu2Ge2
_chemical_formula_sum 'Tm3 Pu6 Cu6 Ge6'
_cell_length_a 4.0198
_cell_length_b 4.0198
_cell_length_c 26.3733
_cell_angle_alpha 90.00
_cell_angle_beta 90.00
_cell_angle_gamma 120.00
_symmetry_space_group_name_H-M 'R -3 m'
_symmetry_Int_Tables_number 166
_symmetry_space_group_name_Hall '-R 3 2"'
loop_
_atom_site_label
_atom_site_type_symbol
_atom_site_fract_x
_atom_site_fract_y
_atom_site_fract_z
Tm1 Tm 0.0000 0.0000 0.0000
Pu1 Pu 0.0000 0.0000 0.1504
Cu1 Cu 0.0000 0.0000 0.4097
Ge1 Ge 0.0000 0.0000 0.2618
```

(3)
For PuZrCu2Ge2, DFT lattice parameters and positions (GGA-PBE) gives the calculated X-ray powder pattern in this record (CuKα).

Principal peaks in the range 2θ from 10° to 90°, by intensity:
| 2θ/deg | I/Imax | h k l |
| --- | --- | --- |
| 35.2 | 100 | 0 1 2 |
| 42.9 | 51 | 1 1 0 |
| 56.7 | 25 | 2 0 2 |
| 27.5 | 25 | 0 1 1 |
| 73.7 | 23 | 1 2 2 |
| 24.4 | 20 | 1 0 0 |
| 69.0 | 18 | 1 1 4 |
| 58.5 | 9 | 1 1 3 |

Structure:
```
data_PuZrCu2Ge2
_chemical_formula_sum 'Pu1 Zr1 Cu2 Ge2'
_cell_length_a 4.2123
_cell_length_b 4.2123
_cell_length_c 7.1393
_cell_angle_alpha 90.00
_cell_angle_beta 90.00
_cell_angle_gamma 120.00
_symmetry_space_group_name_H-M 'P -3 m 1'
_symmetry_Int_Tables_number 164
_symmetry_space_group_name_Hall '-P 3 2"'
loop_
_atom_site_label
_atom_site_type_symbol
_atom_site_fract_x
_atom_site_fract_y
_atom_site_fract_z
Pu1 Pu 0.0000 0.0000 0.0000
Zr1 Zr 0.0000 0.0000 0.5000
Cu1 Cu 0.3333 0.6667 0.7032
Ge1 Ge 0.3333 0.6667 0.2641
```
........

== Done ==
(1)
For Pu2CuGe4Rh3, DFT lattice parameters and positions (GGA-PBE) gives the calculated X-ray powder pattern in this record (CuKα).

Principal peaks in the range 2θ from 10° to 90°, by intensity:
| 2θ/deg | I/Imax | h k l |
| --- | --- | --- |
| 34.8 | 100 | 1 1 2 |
| 34.1 | 80 | 1 0 3 |
| 42.4 | 59 | 2 0 0 |
| 55.5 | 41 | 2 1 3 |
| 50.4 | 30 | 1 0 5 |
| 29.6 | 29 | 1 1 0 |
| 67.9 | 25 | 2 1 5 |
| 72.7 | 24 | 3 1 2 |

Structure:
```
data_Pu2CuGe4Rh3
_chemical_formula_sum 'Pu2 Cu1 Ge4 Rh3'
_cell_length_a 4.262
_cell_length_b 4.262
_cell_length_c 10.002
_cell_angle_alpha 90.00
_cell_angle_beta 90.00
_cell_angle_gamma 90.00
_symmetry_space_group_name_H-M 'P -4 m 2'
_symmetry_Int_Tables_number 115
loop_
_symmetry_equiv_pos_as_xyz
'x,y,z'
'y,-x,-z'
'-x,-y,z'
'-y,x,-z'
'-x,y,z'
'-y,-x,-z'
'x,-y,z'
'y,x,-z'
loop_
_atom_site_label
_atom_site_type_symbol
_atom_site_fract_x
_atom_site_fract_y
_atom_site_fract_z
Pu1 Pu 0.000 0.500 0.250
Cu1 Cu 0.000 0.000 0.500
Ge1 Ge 0.000 0.000 0.000
Ge2 Ge 0.000 0.500 0.629
Ge3 Ge 0.500 0.500 0.000
Rh1 Rh 0.000 0.500 0.872
Rh2 Rh 0.500 0.500 0.500
```

(2)
For TmPu2Cu2Ge2, DFT lattice parameters and positions (GGA-PBE) gives the calculated X-ray powder pattern in this record (CuKα).

Principal peaks in the range 2θ from 10° to 90°, by intensity:
| 2θ/deg | I/Imax | h k l |
| --- | --- | --- |
| 35.1 | 100 | 1 0 7 |
| 45.1 | 70 | 1 1 0 |
| 10.1 | 48 | 0 0 3 |
| 25.8 | 35 | 1 0 1 |
| 58.4 | 23 | 0 2 7 |
| 37.6 | 22 | 0 1 8 |
| 76.7 | 21 | 2 1 7 |
| 62.6 | 18 | 1 1 12 |

Structure:
```
data_TmPu2Cu2Ge2
_chemical_formula_sum 'Tm3 Pu6 Cu6 Ge6'
_cell_length_a 4.0198
_cell_length_b 4.0198
_cell_length_c 26.3733
_cell_angle_alpha 90.00
_cell_angle_beta 90.00
_cell_angle_gamma 120.00
_symmetry_space_group_name_H-M 'R -3 m'
_symmetry_Int_Tables_number 166
_symmetry_space_group_name_Hall '-R 3 2"'
loop_
_atom_site_label
_atom_site_type_symbol
_atom_site_fract_x
_atom_site_fract_y
_atom_site_fract_z
Tm1 Tm 0.0000 0.0000 0.0000
Pu1 Pu 0.0000 0.0000 0.1504
Cu1 Cu 0.0000 0.0000 0.4097
Ge1 Ge 0.0000 0.0000 0.2618
```

(3)
For PuZrCu2Ge2, DFT lattice parameters and positions (GGA-PBE) gives the calculated X-ray powder pattern in this record (CuKα).

Principal peaks in the range 2θ from 10° to 90°, by intensity:
| 2θ/deg | I/Imax | h k l |
| --- | --- | --- |
| 35.2 | 100 | 0 1 2 |
| 42.9 | 51 | 1 1 0 |
| 56.7 | 25 | 2 0 2 |
| 27.5 | 25 | 0 1 1 |
| 73.7 | 23 | 1 2 2 |
| 24.4 | 20 | 1 0 0 |
| 69.0 | 18 | 1 1 4 |
| 58.5 | 9 | 1 1 3 |

Structure:
```
data_PuZrCu2Ge2
_chemical_formula_sum 'Pu1 Zr1 Cu2 Ge2'
_cell_length_a 4.2123
_cell_length_b 4.2123
_cell_length_c 7.1393
_cell_angle_alpha 90.00
_cell_angle_beta 90.00
_cell_angle_gamma 120.00
_symmetry_space_group_name_H-M 'P -3 m 1'
_symmetry_Int_Tables_number 164
_symmetry_space_group_name_Hall '-P 3 2"'
loop_
_atom_site_label
_atom_site_type_symbol
_atom_site_fract_x
_atom_site_fract_y
_atom_site_fract_z
Pu1 Pu 0.0000 0.0000 0.0000
Zr1 Zr 0.0000 0.0000 0.5000
Cu1 Cu 0.3333 0.6667 0.7032
Ge1 Ge 0.3333 0.6667 0.2641
```